Material.
- - -
Density functional theory data (the ωB97M-V functional and the def2-TZVPD basis) for a structure of composition C16H36Al2BBr3F7IN6O11PS3 at a distorted geometry.

Element x y z (Å)
Al (-14.239, -2.611, -6.014)
O (3.052, 0.567, 2.715)
H (5.951, -0.726, 6.866)
H (-1.674, -7.775, 0.840)
C (-0.899, 0.165, -4.206)
N (-7.003, 3.705, -6.421)
N (-0.810, -5.688, -0.321)
H (1.107, 2.770, 2.859)
H (-11.028, 1.238, -5.418)
O (-2.412, -6.217, -1.831)
H (-0.752, 2.004, -3.011)
C (7.915, 2.769, 5.859)
O (-6.964, 1.650, -4.866)
H (9.078, 1.067, 5.430)
P (0.048, -3.944, 3.079)
S (-8.171, 4.463, -5.628)
H (0.635, -0.576, -2.289)
H (7.046, -4.135, 4.629)
H (8.772, 4.587, 5.630)
C (2.053, 2.944, 3.369)
H (-1.375, 0.376, 1.538)
F (-5.693, 3.537, -4.332)
C (6.821, -3.486, 5.459)
S (2.689, 1.364, 3.933)
H (6.404, -2.480, 8.583)
O (6.826, 3.178, 6.230)
C (-1.644, 1.021, -5.260)
O (-7.730, 5.365, -4.627)
H (-0.304, -5.867, 0.528)
H (0.714, 1.529, -3.916)
H (-0.717, -1.388, -0.508)
H (7.461, 0.789, 5.960)
O (-9.318, 3.661, -5.352)
N (-2.143, -7.551, -0.017)
C (-0.150, -0.572, -0.048)
H (1.387, -2.546, 4.103)
N (8.940, 3.601, 5.545)
C (6.420, -2.139, 5.363)
O (-0.768, -1.507, 2.159)
C (-0.540, -0.331, 1.433)
H (9.842, 3.286, 5.242)
H (1.500, 0.884, -1.813)
H (-0.907, 1.362, -5.989)
C (-11.162, 0.778, -6.390)
Al (-2.112, 1.415, -0.703)
F (-2.901, 3.902, -3.937)
H (0.327, 0.185, 1.902)
H (-0.564, -4.894, -0.877)
H (4.803, 1.192, 5.029)
H (-2.886, -8.146, -0.336)
H (1.110, -2.308, 1.621)
I (0.411, -1.150, -5.350)
F (-3.243, 5.502, -5.572)
N (6.236, -1.663, 6.629)
F (-0.024, -0.511, -7.229)
Br (-12.006, 2.065, -7.517)
S (-6.200, 2.671, -5.514)
Br (-9.436, 0.268, -7.032)
H (7.138, -4.757, 7.233)
Br (-12.325, -0.800, -6.107)
H (-1.599, -0.483, -3.667)
H (1.886, 3.594, 4.227)
C (-1.833, -6.478, -0.791)
C (6.869, -3.807, 6.801)
H (-2.150, 1.849, -4.749)
F (-1.430, 5.666, -4.186)
C (0.514, 0.494, -2.074)
H (0.918, -0.792, -0.056)
O (1.186, -4.974, 2.461)
O (-4.981, 2.235, -6.100)
H (2.069, -4.729, 2.773)
F (-8.641, 5.392, -6.771)
C (-0.122, 1.160, -3.312)
C (0.050, -2.591, 1.774)
B (-2.263, 4.790, -4.879)
H (-0.312, -3.101, 0.869)
N (8.193, 1.428, 5.732)
O (0.806, -3.272, 4.376)
F (-1.506, 4.024, -5.780)
H (6.259, -1.506, 4.505)
H (2.763, 3.401, 2.680)
C (4.208, 2.013, 4.636)
H (4.775, 2.534, 3.865)
O (-0.334, 0.641, -0.878)
H (-2.369, 0.375, -5.764)
H (3.960, 2.696, 5.448)
C (6.496, -2.653, 7.522)

The value obtained for the LUMO energy is -13.0813 eV. For the molar mass, the calculation gives 1180.05 g/mol. As for the HOMO energy: -0.5096 Eh. Its net charge is +3. As for the total energy: -341522.9562 eV. The calculation puts the frontier orbital gap at 0.784 eV.

Mulliken population analysis, charges in e, atoms 1 to 2: 0.676 -0.616
- - -

Request.
Could you write out the notes further up character by character?

Response.
Density functional theory data (the ωB97M-V functional and the def2-TZVPD basis) for a structure of composition C16H36Al2BBr3F7IN6O11PS3 at a distorted geometry.

Element x y z (Å)
Al (-14.239, -2.611, -6.014)
O (3.052, 0.567, 2.715)
H (5.951, -0.726, 6.866)
H (-1.674, -7.775, 0.840)
C (-0.899, 0.165, -4.206)
N (-7.003, 3.705, -6.421)
N (-0.810, -5.688, -0.321)
H (1.107, 2.770, 2.859)
H (-11.028, 1.238, -5.418)
O (-2.412, -6.217, -1.831)
H (-0.752, 2.004, -3.011)
C (7.915, 2.769, 5.859)
O (-6.964, 1.650, -4.866)
H (9.078, 1.067, 5.430)
P (0.048, -3.944, 3.079)
S (-8.171, 4.463, -5.628)
H (0.635, -0.576, -2.289)
H (7.046, -4.135, 4.629)
H (8.772, 4.587, 5.630)
C (2.053, 2.944, 3.369)
H (-1.375, 0.376, 1.538)
F (-5.693, 3.537, -4.332)
C (6.821, -3.486, 5.459)
S (2.689, 1.364, 3.933)
H (6.404, -2.480, 8.583)
O (6.826, 3.178, 6.230)
C (-1.644, 1.021, -5.260)
O (-7.730, 5.365, -4.627)
H (-0.304, -5.867, 0.528)
H (0.714, 1.529, -3.916)
H (-0.717, -1.388, -0.508)
H (7.461, 0.789, 5.960)
O (-9.318, 3.661, -5.352)
N (-2.143, -7.551, -0.017)
C (-0.150, -0.572, -0.048)
H (1.387, -2.546, 4.103)
N (8.940, 3.601, 5.545)
C (6.420, -2.139, 5.363)
O (-0.768, -1.507, 2.159)
C (-0.540, -0.331, 1.433)
H (9.842, 3.286, 5.242)
H (1.500, 0.884, -1.813)
H (-0.907, 1.362, -5.989)
C (-11.162, 0.778, -6.390)
Al (-2.112, 1.415, -0.703)
F (-2.901, 3.902, -3.937)
H (0.327, 0.185, 1.902)
H (-0.564, -4.894, -0.877)
H (4.803, 1.192, 5.029)
H (-2.886, -8.146, -0.336)
H (1.110, -2.308, 1.621)
I (0.411, -1.150, -5.350)
F (-3.243, 5.502, -5.572)
N (6.236, -1.663, 6.629)
F (-0.024, -0.511, -7.229)
Br (-12.006, 2.065, -7.517)
S (-6.200, 2.671, -5.514)
Br (-9.436, 0.268, -7.032)
H (7.138, -4.757, 7.233)
Br (-12.325, -0.800, -6.107)
H (-1.599, -0.483, -3.667)
H (1.886, 3.594, 4.227)
C (-1.833, -6.478, -0.791)
C (6.869, -3.807, 6.801)
H (-2.150, 1.849, -4.749)
F (-1.430, 5.666, -4.186)
C (0.514, 0.494, -2.074)
H (0.918, -0.792, -0.056)
O (1.186, -4.974, 2.461)
O (-4.981, 2.235, -6.100)
H (2.069, -4.729, 2.773)
F (-8.641, 5.392, -6.771)
C (-0.122, 1.160, -3.312)
C (0.050, -2.591, 1.774)
B (-2.263, 4.790, -4.879)
H (-0.312, -3.101, 0.869)
N (8.193, 1.428, 5.732)
O (0.806, -3.272, 4.376)
F (-1.506, 4.024, -5.780)
H (6.259, -1.506, 4.505)
H (2.763, 3.401, 2.680)
C (4.208, 2.013, 4.636)
H (4.775, 2.534, 3.865)
O (-0.334, 0.641, -0.878)
H (-2.369, 0.375, -5.764)
H (3.960, 2.696, 5.448)
C (6.496, -2.653, 7.522)

The value obtained for the LUMO energy is -13.0813 eV. For the molar mass, the calculation gives 1180.05 g/mol. As for the HOMO energy: -0.5096 Eh. Its net charge is +3. As for the total energy: -341522.9562 eV. The calculation puts the frontier orbital gap at 0.784 eV.

Mulliken population analysis, charges in e, atoms 1 to 2: 0.676 -0.616